[Assignment]
Please duplicate the rows underneath without additions.

[Given]
********
Simulated PXRD pattern
Compound: TlVCrF6
Radiation: Cu Kα (λ = 1.5418 Å)
Structure: a cell relaxed with GGA+U
Intensities are scaled so that the largest is 100.

```
data_TlVCrF6
_chemical_formula_sum 'Tl4 V4 Cr4 F24'
_cell_length_a 7.2586
_cell_length_b 7.7542
_cell_length_c 10.7841
_cell_angle_alpha 90.00
_cell_angle_beta 90.00
_cell_angle_gamma 90.00
_space_group_name_H-M_alt 'I m m a'
_space_group_IT_number 74
_space_group_name_Hall '-I 2b 2'
loop_
_atom_site_label
_atom_site_type_symbol
_atom_site_fract_x
_atom_site_fract_y
_atom_site_fract_z
Tl1 Tl 0.0000 0.2500 0.1088
V1 V 0.0000 0.0000 0.5000
Cr1 Cr 0.2500 0.2500 0.7500
F1 F 0.0000 0.2500 0.4513
F2 F 0.0000 0.2500 0.8287
F3 F 0.1934 0.0352 0.6238
```

Main lines, by intensity (10 to 80 degrees two-theta):
- hkl 0 1 3, 3.260 Å, I 100.0
- hkl 1 1 2, 3.779 Å, I 57.4
- hkl 2 1 1, 3.144 Å, I 41.6
- hkl 2 2 4, 1.890 Å, I 32.6
- hkl 1 0 5, 2.067 Å, I 16.5
- hkl 1 0 3, 3.221 Å, I 16.1
- hkl 0 3 3, 2.099 Å, I 15.7
- hkl 0 2 0, 3.877 Å, I 14.7
- hkl 2 2 0, 2.650 Å, I 14.0
- hkl 2 1 3, 2.426 Å, I 13.7

=====

Starting from DFT lattice parameters and positions (GGA-PBE), the X-ray diffraction stick pattern of Mg5Hg3 was simulated for λ = 1.5418 Å (Cu Kα).
Kinematic intensities with the Lorentz-polarization factor, no thermal factor.

Crystal structure
Cell lengths 8.378, 8.378, 5.856 Å; angles 90.00, 90.00, 120.00 degrees
Fractional coordinates of all 16 atoms:
Mg: 0.000 0.251 0.250
Mg: 0.000 0.749 0.750
Mg: 0.251 0.000 0.250
Mg: 0.251 0.251 0.750
Mg: 0.333 0.667 0.000
Mg: 0.333 0.667 0.500
Mg: 0.667 0.333 0.000
Mg: 0.667 0.333 0.500
Mg: 0.749 0.000 0.750
Mg: 0.749 0.749 0.250
Hg: 0.000 0.387 0.750
Hg: 0.000 0.613 0.250
Hg: 0.387 0.000 0.750
Hg: 0.387 0.387 0.250
Hg: 0.613 0.000 0.250
Hg: 0.613 0.613 0.750

Largest 10 diffraction maxima, low angle first, 15 to 90 degrees two-theta:
2θ (°), Rel. int.
21.21, 30
24.54, 15
26.16, 100
30.53, 27
36.17, 44
37.17, 30
37.48, 30
47.79, 32
48.84, 17
51.66, 16



Starting from DFT lattice parameters and positions (GGA-PBE), the X-ray diffraction stick pattern of Mg3Hg was simulated for λ = 1.5418 Å (Cu Kα).
Kinematic intensities with the Lorentz-polarization factor, no thermal factor.

Crystal structure
Cell lengths 6.283, 6.283, 5.046 Å; angles 90.00, 90.00, 120.00 degrees
Fractional coordinates of all 8 atoms:
Mg: 0.168 0.337 0.250
Mg: 0.168 0.832 0.250
Mg: 0.337 0.168 0.750
Mg: 0.663 0.832 0.250
Mg: 0.832 0.168 0.750
Mg: 0.832 0.663 0.750
Hg: 0.333 0.667 0.750
Hg: 0.667 0.333 0.250

Largest 10 diffraction maxima, low angle first, 15 to 90 degrees two-theta:
2θ (°), Rel. int.
16.29, 41
24.05, 100
28.41, 45
32.92, 20
35.58, 21
37.56, 83
46.15, 25
47.76, 34
65.21, 16
70.64, 17



Starting from DFT lattice parameters and positions (GGA-PBE), the X-ray diffraction stick pattern of Mg5Hg was simulated for λ = 1.5418 Å (Cu Kα).
Kinematic intensities with the Lorentz-polarization factor, no thermal factor.

Crystal structure
Cell lengths 6.035, 6.035, 7.324 Å; angles 103.15, 103.15, 31.42 degrees
Fractional coordinates of all 6 atoms:
Mg: 0.000 0.000 0.000
Mg: 0.048 0.048 0.612
Mg: 0.325 0.325 0.673
Mg: 0.377 0.377 0.266
Mg: 0.660 0.660 0.335
Hg: 0.717 0.717 0.944

Largest 10 diffraction maxima, low angle first, 15 to 90 degrees two-theta:
2θ (°), Rel. int.
15.70, 90
17.60, 68
22.30, 39
28.43, 44
30.36, 36
31.91, 54
35.62, 44
36.41, 69
36.92, 100
57.93, 37



Starting from DFT lattice parameters and positions (GGA-PBE), the X-ray diffraction stick pattern of Mg5Hg was simulated for λ = 1.5418 Å (Cu Kα).
Kinematic intensities with the Lorentz-polarization factor, no thermal factor.

Crystal structure
Cell lengths 5.398, 5.398, 5.235 Å; angles 90.00, 90.00, 120.00 degrees
Fractional coordinates of all 6 atoms:
Mg: 0.000 0.328 0.000
Mg: 0.328 0.000 0.000
Mg: 0.333 0.667 0.500
Mg: 0.667 0.333 0.500
Mg: 0.672 0.672 0.000
Hg: 0.000 0.000 0.500

Largest 10 diffraction maxima, low angle first, 15 to 90 degrees two-theta:
2θ (°), Rel. int.
16.94, 39
********

[Worked solution]
Simulated PXRD pattern
Compound: TlVCrF6
Radiation: Cu Kα (λ = 1.5418 Å)
Structure: a cell relaxed with GGA+U
Intensities are scaled so that the largest is 100.

```
data_TlVCrF6
_chemical_formula_sum 'Tl4 V4 Cr4 F24'
_cell_length_a 7.2586
_cell_length_b 7.7542
_cell_length_c 10.7841
_cell_angle_alpha 90.00
_cell_angle_beta 90.00
_cell_angle_gamma 90.00
_space_group_name_H-M_alt 'I m m a'
_space_group_IT_number 74
_space_group_name_Hall '-I 2b 2'
loop_
_atom_site_label
_atom_site_type_symbol
_atom_site_fract_x
_atom_site_fract_y
_atom_site_fract_z
Tl1 Tl 0.0000 0.2500 0.1088
V1 V 0.0000 0.0000 0.5000
Cr1 Cr 0.2500 0.2500 0.7500
F1 F 0.0000 0.2500 0.4513
F2 F 0.0000 0.2500 0.8287
F3 F 0.1934 0.0352 0.6238
```

Main lines, by intensity (10 to 80 degrees two-theta):
- hkl 0 1 3, 3.260 Å, I 100.0
- hkl 1 1 2, 3.779 Å, I 57.4
- hkl 2 1 1, 3.144 Å, I 41.6
- hkl 2 2 4, 1.890 Å, I 32.6
- hkl 1 0 5, 2.067 Å, I 16.5
- hkl 1 0 3, 3.221 Å, I 16.1
- hkl 0 3 3, 2.099 Å, I 15.7
- hkl 0 2 0, 3.877 Å, I 14.7
- hkl 2 2 0, 2.650 Å, I 14.0
- hkl 2 1 3, 2.426 Å, I 13.7

=====

Starting from DFT lattice parameters and positions (GGA-PBE), the X-ray diffraction stick pattern of Mg5Hg3 was simulated for λ = 1.5418 Å (Cu Kα).
Kinematic intensities with the Lorentz-polarization factor, no thermal factor.

Crystal structure
Cell lengths 8.378, 8.378, 5.856 Å; angles 90.00, 90.00, 120.00 degrees
Fractional coordinates of all 16 atoms:
Mg: 0.000 0.251 0.250
Mg: 0.000 0.749 0.750
Mg: 0.251 0.000 0.250
Mg: 0.251 0.251 0.750
Mg: 0.333 0.667 0.000
Mg: 0.333 0.667 0.500
Mg: 0.667 0.333 0.000
Mg: 0.667 0.333 0.500
Mg: 0.749 0.000 0.750
Mg: 0.749 0.749 0.250
Hg: 0.000 0.387 0.750
Hg: 0.000 0.613 0.250
Hg: 0.387 0.000 0.750
Hg: 0.387 0.387 0.250
Hg: 0.613 0.000 0.250
Hg: 0.613 0.613 0.750

Largest 10 diffraction maxima, low angle first, 15 to 90 degrees two-theta:
2θ (°), Rel. int.
21.21, 30
24.54, 15
26.16, 100
30.53, 27
36.17, 44
37.17, 30
37.48, 30
47.79, 32
48.84, 17
51.66, 16



Starting from DFT lattice parameters and positions (GGA-PBE), the X-ray diffraction stick pattern of Mg3Hg was simulated for λ = 1.5418 Å (Cu Kα).
Kinematic intensities with the Lorentz-polarization factor, no thermal factor.

Crystal structure
Cell lengths 6.283, 6.283, 5.046 Å; angles 90.00, 90.00, 120.00 degrees
Fractional coordinates of all 8 atoms:
Mg: 0.168 0.337 0.250
Mg: 0.168 0.832 0.250
Mg: 0.337 0.168 0.750
Mg: 0.663 0.832 0.250
Mg: 0.832 0.168 0.750
Mg: 0.832 0.663 0.750
Hg: 0.333 0.667 0.750
Hg: 0.667 0.333 0.250

Largest 10 diffraction maxima, low angle first, 15 to 90 degrees two-theta:
2θ (°), Rel. int.
16.29, 41
24.05, 100
28.41, 45
32.92, 20
35.58, 21
37.56, 83
46.15, 25
47.76, 34
65.21, 16
70.64, 17



Starting from DFT lattice parameters and positions (GGA-PBE), the X-ray diffraction stick pattern of Mg5Hg was simulated for λ = 1.5418 Å (Cu Kα).
Kinematic intensities with the Lorentz-polarization factor, no thermal factor.

Crystal structure
Cell lengths 6.035, 6.035, 7.324 Å; angles 103.15, 103.15, 31.42 degrees
Fractional coordinates of all 6 atoms:
Mg: 0.000 0.000 0.000
Mg: 0.048 0.048 0.612
Mg: 0.325 0.325 0.673
Mg: 0.377 0.377 0.266
Mg: 0.660 0.660 0.335
Hg: 0.717 0.717 0.944

Largest 10 diffraction maxima, low angle first, 15 to 90 degrees two-theta:
2θ (°), Rel. int.
15.70, 90
17.60, 68
22.30, 39
28.43, 44
30.36, 36
31.91, 54
35.62, 44
36.41, 69
36.92, 100
57.93, 37



Starting from DFT lattice parameters and positions (GGA-PBE), the X-ray diffraction stick pattern of Mg5Hg was simulated for λ = 1.5418 Å (Cu Kα).
Kinematic intensities with the Lorentz-polarization factor, no thermal factor.

Crystal structure
Cell lengths 5.398, 5.398, 5.235 Å; angles 90.00, 90.00, 120.00 degrees
Fractional coordinates of all 6 atoms:
Mg: 0.000 0.328 0.000
Mg: 0.328 0.000 0.000
Mg: 0.333 0.667 0.500
Mg: 0.667 0.333 0.500
Mg: 0.672 0.672 0.000
Hg: 0.000 0.000 0.500

Largest 10 diffraction maxima, low angle first, 15 to 90 degrees two-theta:
2θ (°), Rel. int.
16.94, 39